History of MembersPage/HansK/OpelC
Older Newer
2006-10-12 13:28:38 . . . . HansK [Trigger errors - update]
2006-10-12 09:32:45 . . . . HansK [Trigger errors - update]
2006-10-05 21:05:14 . . . . MembersPage/MarcellGal [list of possible problems]
2006-10-05 14:26:59 . . . . HansK [Trigger errors]
2006-09-28 15:28:59 . . . . MembersPage/TonciLoncar [answerd a question and added my config to try]
2006-09-28 13:32:47 . . . . HansK [Trigger errors]
2006-09-27 13:21:52 . . . . HansK [Re: signalgen.]
2006-09-26 22:20:58 . . . . MembersPage/MarcellGal [stim hints]
2006-09-25 11:58:08 . . . . HansK [Trigger errors]
2006-09-25 11:55:37 . . . . HansK [Trigger errors]
2006-09-20 06:24:09 . . . . HansK [Thanks..]
2006-09-19 14:02:22 . . . . MembersPage/DaveBrul [firmware compile not needed]
2006-09-19 13:34:03 . . . . HansK [need firmware compiled.]
2006-09-19 07:05:23 . . . . HansK [updata, need help.]
2006-09-13 09:30:36 . . . . HansK [Trigger errors]
_Records of crystals from another source follow_
~~~
1.
# LiFePCO7 | the Materials Project database | PBE+U | relaxed
data_LiFePCO7
_cell_length_a 8.2637
_cell_length_b 8.2851
_cell_length_c 8.4329
_cell_angle_alpha 93.50
_cell_angle_beta 93.23
_cell_angle_gamma 102.35
_symmetry_space_group_name_H-M 'P 1'
_symmetry_Int_Tables_number 1
loop_
_symmetry_equiv_pos_as_xyz
'x,y,z'
loop_
_atom_site_label
_atom_site_fract_x
_atom_site_fract_y
_atom_site_fract_z
Li1 0.0000 0.0000 0.0000
Li2 0.0236 0.5241 0.7856
Li3 0.3679 0.1683 0.1752
Li4 0.5312 0.0226 0.7796
Fe1 0.2368 0.7313 0.2270
Fe2 0.2859 0.2890 0.5597
Fe3 0.7420 0.2379 0.2302
Fe4 0.7873 0.7847 0.5534
P1 0.0010 0.5047 0.4717
P2 0.0256 0.0208 0.3142
P3 0.4997 0.0014 0.4687
P4 0.5173 0.5167 0.3161
C1 0.2429 0.2294 0.8466
C2 0.2909 0.7895 0.9391
C3 0.7404 0.7431 0.8476
C4 0.7824 0.2902 0.9400
O1 0.0713 0.5777 0.3206
O2 0.0837 0.8953 0.1974
O3 0.1279 0.4411 0.5803
O4 0.1502 0.1542 0.7212
O5 0.1712 0.6675 0.9667
O6 0.1819 0.1645 0.3616
O7 0.2185 0.1829 0.9847
O8 0.3329 0.8319 0.8044
O9 0.3498 0.8578 0.4149
O10 0.3573 0.3503 0.8079
O11 0.3702 0.8748 0.0673
O12 0.3880 0.5796 0.2123
O13 0.4432 0.1288 0.5836
O14 0.4454 0.4504 0.4718
O15 0.5608 0.3724 0.2120
O16 0.5635 0.0784 0.3144
O17 0.6320 0.9406 0.5720
O18 0.6523 0.6547 0.7293
O19 0.6649 0.1660 0.9694
O20 0.6709 0.6564 0.3670
O21 0.7110 0.7115 0.9896
O22 0.8235 0.3297 0.8043
O23 0.8526 0.3588 0.4171
O24 0.8592 0.8642 0.8144
O25 0.8643 0.3743 0.0668
O26 0.8979 0.0861 0.2063
O27 0.9429 0.6316 0.5856
O28 0.9531 0.9488 0.4634
# DFT total energy	-301.246	eV/cell
# spin magnetization	0.364	μB per atom

=====

2.
# LiFePCO7 | the Materials Project database | PBE+U | relaxed
data_LiFePCO7
_cell_length_a 5.1228
_cell_length_b 6.3147
_cell_length_c 8.6927
_cell_angle_alpha 85.33
_cell_angle_beta 88.47
_cell_angle_gamma 87.66
_symmetry_space_group_name_H-M 'P 1'
_symmetry_Int_Tables_number 1
loop_
_symmetry_equiv_pos_as_xyz
'x,y,z'
loop_
_atom_site_label
_atom_site_fract_x
_atom_site_fract_y
_atom_site_fract_z
Li1 0.0000 0.0000 0.0000
Li2 0.4790 0.5164 0.5466
Fe1 0.0747 0.2489 0.4347
Fe2 0.4885 0.7699 0.1417
P1 0.5972 0.2686 0.2073
P2 0.9820 0.7651 0.3626
C1 0.5634 0.7812 0.8347
C2 0.9748 0.2731 0.7203
O1 0.1193 0.5679 0.4461
O2 0.1234 0.8214 0.2025
O3 0.2062 0.2461 0.6570
O4 0.3525 0.8234 0.9140
O5 0.4362 0.2364 0.3600
O6 0.5007 0.4688 0.1085
O7 0.5538 0.7265 0.6988
O8 0.5884 0.0718 0.1122
O9 0.6915 0.7183 0.3322
O10 0.7800 0.7907 0.9046
O11 0.7859 0.2966 0.6236
O12 0.8888 0.2940 0.2473
O13 0.9486 0.2703 0.8645
O14 0.9985 0.9503 0.4649
# DFT total energy	-147.620	eV/cell
# spin magnetization	0.091	μB per atom

=====

3.
# LiFePCO7 | the Materials Project database | PBE+U | relaxed
data_LiFePCO7
_cell_length_a 5.1429
_cell_length_b 8.4120
_cell_length_c 12.8841
_cell_angle_alpha 90.34
_cell_angle_beta 90.07
_cell_angle_gamma 94.89
_symmetry_space_group_name_H-M 'P 1'
_symmetry_Int_Tables_number 1
loop_
_symmetry_equiv_pos_as_xyz
'x,y,z'
loop_
_atom_site_label
_atom_site_fract_x
_atom_site_fract_y
_atom_site_fract_z
~~~
_So much for the records of crystals_

Changes by last author:

Thanks to TonciLoncar fore his trigger-setup, but I still got the the trigger problem. The W.. counter on mlp01 LCD page reach 10 in 5-6 seconds. RPM is right but it just drop to 0rpm 1-2 times pr. second.
Thanks Tonci fore his trigger-setup, but I still got the the trigger problem. The W.. counter on mlp01 LCD page reach 10 in 5-6 seconds. RPM is right but it just drop to 0rpm 1-2 times pr. second.
The last one is kindof likely. You should capture signal with scope or notebook soundcard. See ElectronicDesign/SoundRecorder. Especially with ALLOW_SLOPPY_TOOTHWHEEL (default compile option) it will work, eg. forgives sensing 57 tooth instead of 58: but counts wheel_error, and sparks 1 tooth late if the tooth was lost before the trigger tooth (which often is: typically the tooth after the missing tooth "gets lost" this way) when this happens. At higher RPM (where more than 1 tooth is likely to get lost), spark might be cut. Proper wheel, or raping the adaptive histeresys or pullup might get away the problem.
* The last one is kindof likely. You should capture signal with scope or notebook soundcard. See ElectronicDesign/SoundRecorder. Especially with ALLOW_SLOPPY_TOOTHWHEEL (default compile option) it will work, eg. forgives sensing 57 tooth instead of 58: but counts wheel_error, and sparks 1 tooth late if the tooth was lost before the trigger tooth (which often is: typically the tooth after the missing tooth "gets lost" this way) when this happens. At higher RPM (where more than 1 tooth is likely to get lost), spark might be cut. Proper wheel, or raping the adaptive histeresys or pullup might get away the problem.

** I took a pic of both the signal before and after LM1815, to see if a tooth was lost there.. it don't seem to.
